As of Wed Apr 24 17:52:48 2024


Type: Adverb   (Real)
Use:  The number of boxes associated with a verb, task, or procedure.
      It is often associated with CLBOX giving areas in an image. e.g.,
What comes next are data records, not part of the entry
........
YMg6Sn: simulated X-ray diffraction stick pattern (Cu Ka), based on a DFT-relaxed cell (PBE, the Materials Project).

Peak list (10 most intense, 2θ = 10–90°, in order of rising 2θ)
| d/Å | I_rel | h k l |
| --- | --- | --- |
| 5.749 | 77.5 | 0 1 1 |
| 3.820 | 51.6 | 1 0 2 |
| 2.874 | 28.7 | 0 2 2 |
| 2.777 | 35.0 | 1 1 3 |
| 2.563 | 36.9 | 2 0 0 |
| 2.507 | 100.0 | 1 2 2 |
| 2.494 | 54.9 | 1 0 4 |
| 2.341 | 19.9 | 2 1 1 |
| 1.652 | 20.8 | 0 2 6 |
| 1.389 | 20.8 | 2 2 6 |

Lattice parameters (Å, degrees): 5.1268 6.6530 11.4197 90.00 90.00 90.00
Positions (direct):
Y  0.0000  0.0000  0.0000
Y  0.0000  0.5000  0.5000
Mg  0.0000  0.0000  0.5070
Mg  0.0000  0.2458  0.2509
Mg  0.0000  0.2542  0.7509
Mg  0.0000  0.5000  0.0070
Mg  0.0000  0.7458  0.7509
Mg  0.0000  0.7542  0.2509
Mg  0.5000  0.0000  0.3393
Mg  0.5000  0.2390  0.5914
Mg  0.5000  0.2610  0.0914
Mg  0.5000  0.5000  0.8393
Mg  0.5000  0.7390  0.0914
Mg  0.5000  0.7610  0.5914
Sn  0.5000  0.0000  0.8393
Sn  0.5000  0.5000  0.3393

~~~~~

(1)
Starting from a crystal structure in the Materials Project, relaxed with GGA-PBE, the powder XRD pattern of BiB6 was computed for Cu Kα, 1.54184 Å.

Top 10 peaks for 2θ from 10° to 90°, in order of rising 2θ:
| 2θ/deg | I (rel.) |
| --- | --- |
| 21.1 | 76 |
| 30.0 | 100 |
| 36.9 | 41 |
| 42.9 | 21 |
| 48.3 | 53 |
| 53.2 | 32 |
| 66.6 | 29 |
| 70.7 | 21 |
| 74.7 | 15 |
| 86.4 | 21 |

Structure:
Cell: 4.2140 4.2140 4.2140 Å, 90.00 90.00 90.00°
Fractional positions:
Bi 0.0000 0.0000 0.0000
B 0.2017 0.5000 0.5000
B 0.5000 0.2017 0.5000
B 0.5000 0.5000 0.2017
B 0.5000 0.5000 0.7983
B 0.5000 0.7983 0.5000
B 0.7983 0.5000 0.5000

(2)
Starting from a crystal structure in the Materials Project, relaxed with GGA-PBE, the powder XRD pattern of Ca2Ga2BiB4O14 was computed for Cu Kα, 1.54184 Å.

Top 10 peaks for 2θ from 10° to 90°, in order of rising 2θ:
| 2θ/deg | I (rel.) |
| --- | --- |
| 13.9 | 83 |
| 16.8 | 74 |
| 21.9 | 43 |
| 24.2 | 100 |
| 27.3 | 35 |
| 29.1 | 47 |
| 30.8 | 51 |
| 31.6 | 46 |
| 34.5 | 38 |
| 35.0 | 54 |

Structure:
Cell: 9.1626 9.1626 6.8410 Å, 94.18 94.18 88.42°
Fractional positions:
Ca 0.1401 0.1401 0.4024
Ca 0.2514 0.1087 0.9165
Ca 0.8599 0.8599 0.5976
Ca 0.8913 0.7486 0.0835
Ga 0.0031 0.3617 0.7385
Ga 0.3079 0.6921 0.0000
Ga 0.6383 0.9970 0.2615
Ga 0.8161 0.1839 0.0000
Bi 0.3897 0.4350 0.7016
Bi 0.5650 0.6103 0.2984
B 0.2265 0.7686 0.6832
B 0.2314 0.7735 0.3168
B 0.3099 0.3980 0.2081
B 0.5670 0.0511 0.8137
B 0.6020 0.6901 0.7919
B 0.6426 0.1594 0.5291
B 0.8406 0.3574 0.4709
B 0.9489 0.4330 0.1863
O 0.0064 0.4492 0.0160
O 0.0137 0.1047 0.0188
O 0.1365 0.7412 0.1587
O 0.1840 0.8160 0.5000
O 0.1962 0.2902 0.7007
O 0.2183 0.6228 0.7290
O 0.2588 0.8635 0.8413
O 0.2671 0.2567 0.1898
O 0.3290 0.4829 0.0498
O 0.3483 0.4728 0.3880
O 0.3772 0.7817 0.2710
O 0.4374 0.0815 0.6908
O 0.4790 0.1839 0.5467
O 0.5171 0.6710 0.9502
O 0.5272 0.6517 0.6120
O 0.5508 0.9936 0.9840
O 0.6269 0.2638 0.0393
O 0.6900 0.0806 0.7090
O 0.7093 0.2907 0.5000
........
      for Clean.  It is also used as the number of samples (ranges) in
      X, where the histogram is the number of occurences as a function
      of X (e.g. image intensity, visibility amplitude).
Null value:  0
      Null value is usually assigned 1 for areas or some rather larger
      number for histograms.
   DELBOX........Verb to delete boxes with TV cursor & graphics display.
   DRAWBOX.......Verb to draw Clean boxes on the display.
   REBOX.........Verb to reset boxes with TV cursor & graphics display.
   TVBOX.........Verb to set boxes with TV cursor & graphics display.
   BOX2CC........Converts CLBOX in pixels to CCBOX in arc seconds.
   CXIMAGR.......Grid UV data into a complex image, Fourier transform,
   LINIMAGE......Build image cube from multi-IF data set.
   MAPPR.........Simplified access to IMAGR.
   TKNBOXS.......Procedure to set Clean boxes 1 - n with the TK cursor.
   APCLN.........Deconvolves images with CLEAN algorithm.
   APGS..........Deconvolves image with Gerchberg-Saxton algorithm.
   APVC..........Deconvolves images with van Cittert algorithm.
   BSCLN.........Hogbom Clean on beam-switched difference image.
   CCEDT.........Select CC components in BOXes and above mininum flux.
   CHKFC.........Makes images of Clean boxes from Boxfile.
   CXCLN.........Complex Hogbom CLEAN.
   FIXBX.........Converts a BOXFILE to another for input to IMAGR.
   GREYS.........Plots images as contours over multi-level grey.
   HISEQ.........Task to translate image by histogram equalization.
                 NBOXES is the number of output intensity intervals.
   IMAGR.........Wide-field and/or wide-frequency Cleaning / imaging task.
   IMEAN.........Displays the mean & extrema and plots histogram of an
                 image.  NBOXES gives the number of samples in the
   IMFLT.........Fits and removes a background intensity plane from an
   IMLIN.........Fits and removes continuum emission from cube.  NBOXES
                 is the number of spectral ranges to examine.
   ISPEC.........Plots and prints spectrum of region of a cube.  NBOXES
                 is the number of regions over which to find values.
   PCHIS.........Generates a histogram plot file from text input, e.g.
                 from PCRMS.  NBOXES gives the number of samples
                 (ranges) in the histogram.
   PFPL3.........Paraform Task to generate a plot file: (does histogram).
                 NBOXES is the number of samples in the histogram.
   QUFIX.........Determines Right minus Left phase difference, corrects
                 cal files.
   RFLAG.........Flags data set based on time and freq rms in fringe
                 visibilities.  NBOXES is the number of samples in the
   RIRMS.........Computes rms of real/imag of a selected subset of a uv
                 data set.  NBOXES is the number of samples in the
   RSPEC.........Plots and prints spectrum of rms of a cube.  NBOXES
                 is the number of regions over which to find values.
   SCIMG.........Full-featured imaging plus self-calibration loop with
   SCMAP.........Imaging plus self-calibration loop with editing.
   SDCLN.........Deconvolves image by Clark and then "SDI" cleaning
   SERCH.........Finds line signals in transposed data cube.  NBOXES
                 is the number of spectral intervals to be searched.
   STEER.........Task which deconvolves the David Steer way.
   UVHGM.........Plots statistics of uv data files as histogram.  NNOXES
                 is the number of samples in the histogram.
   UVRMS.........Computes statistics of a selected subset of a uv data
                 set.  NBOXES is the number of samples in the histogram.
   XBASL.........Fits and subtracts nth-order baselines from cube (x
                 axis).  NBOXES is the number of spectral ranges to be